Minutes of April 19, 2003 Annual Meeting
Unofficial Minutes
The annual meeting of the Town of Eau Galle was called to order at the Town Hall by Chairman Murtha at 1:00 P.M..
Art Jensen County Board member gave an update on County happenings, he also indicated that this was his last term and if anyone wants to run for the County Board he would be happy to advise them. Art also indicated that he keeps the Brookville Cemetery records presently and would continue to keep them if the Town of Eau Galle Town Board wants him to. Chairman Murtha thanked Art for his service to the Town of Eau Galle and indicated he should continue to handle the cemetery records.
Minutes of the 04-13-2002 annual meeting were read and approved on a motion by Larry Larson second by Mike Veendall, motion carried.
Clerk/treasure William Peavey reviewed the annual report and answered questions. The annual report was approved as presented on a motion by Connie North second by Larry Larson, motion carried.
Discussed official newspaper, motion by Mike Veendall second by Tim Ramberg to continue to have the Baldwin Bulletin as official newspaper, motion carried.
Discussed official depository of funds, motion by Larry Larson second by Connie North to continue to use the First National Bank of Baldwin as official depository of funds, motion carried
Discussed granting the Town of Eau Galle Town Board the authority to set the tax levy, motion by Tim Ramberg second by Randy Roquette to grant the Town of Eau Galle Town Board the authority to set the tax levy, motion carried.
Chairman’s report;
- John Murtha new Chairman
'''
Entry 1:
CaLa12Sm3: theoretical X-ray diffraction stick pattern (a wavelength of 1.5418 Å), based on a structure optimized by DFT (GGA-PBE).
No peak broadening, texture or thermal motion is included.

Main lines, low angle first (2θ from 5° to 70°):
10.522 Å, 8.40 deg, I 2; 5.106 Å, 17.37 deg, I 1; 4.707 Å, 18.85 deg, I 1; 3.038 Å, 29.40 deg, I 100; 2.631 Å, 34.07 deg, I 51; 1.861 Å, 48.96 deg, I 36; 1.587 Å, 58.14 deg, I 43; 1.519 Å, 60.99 deg, I 12

Structure:
abc: 5.263 5.263 21.045
angles: 90.00 90.00 90.00
Sites, in units of the cell vectors:
Ca 0.000 0.000 0.000
La 0.000 0.500 0.129
La 0.000 0.500 0.376
La 0.000 0.500 0.624
La 0.000 0.500 0.871
La 0.500 0.000 0.129
La 0.500 0.000 0.376
La 0.500 0.000 0.624
La 0.500 0.000 0.871
La 0.500 0.500 0.000
La 0.500 0.500 0.251
La 0.500 0.500 0.500
La 0.500 0.500 0.749
Sm 0.000 0.000 0.251
Sm 0.000 0.000 0.500
Sm 0.000 0.000 0.749

=====

Entry 2:
Hf2ScOs2: theoretical X-ray diffraction stick pattern (a wavelength of 1.5418 Å), based on a structure optimized by DFT (GGA-PBE).
No peak broadening, texture or thermal motion is included.

Main lines, low angle first (2θ from 5° to 70°):
11.819 Å, 7.48 deg, I 10; 4.364 Å, 20.35 deg, I 13; 2.364 Å, 38.07 deg, I 21; 2.348 Å, 38.34 deg, I 33; 2.333 Å, 38.60 deg, I 100; 1.666 Å, 55.14 deg, I 15; 1.359 Å, 69.14 deg, I 11; 1.353 Å, 69.50 deg, I 18

Structure:
abc: 11.931 11.931 4.696
'''
The records of crystals stop here =
- Thank you to Don Rodel for his years of service
- Plan to continue to keep roads up
- Remove rocks in some ditches in 2003
- 11 miles seal coated in 2002
- 10th ave to be blacktopped in 2003
- Road work for 2003 will be based partially on the PACER rating, 25th or 270th S of N
- Web site is up and running
- Building permit requirements will be added to Web site
Discussed Park Fund disbursement requests. Approximately $20,000.00 in account at this time. This comes from $250.00 per lot County fee, $200.00 to Town and $50.00 to County. Can be used for Facilities, Capital Improvements, not for maintains of existing parks. Chairman Murtha asked for guidelines for disbursing these funds as requested by organizations.
Motion by Bob Young second by Julie Pfendler to limit donation to Blackhawk Hockey to $1000.00 per year as presently authorized, motion carried, 16 yes, 0 no.
Discussed creating a Town of Eau Galle park at Town Hall site, Town of Eau Galle board to get some ideas and cost. Question was asked if the Park Fund money could be used to pave parking lot when park is created.
Discussed creating Fence Line Ordinance similar to Rush River for subdivisions. Board will look into updating the Rush River Ordinance to fit Eau Galle needs.
Old Business;
- Update on Building Permit requirements still in progress.
- Discussed Driveway Ordinance
- Discussed parking lot paving.
New Business;
- Answered questions on Culverts
- Answered questions on driveways
- Answered questions on State Statue on Dogs
- Answered questions on Seal coating in 2003
- Discussed wages of Election workers, motion by David North second by Randy Roquette to set the election workers salary at $100.00 per day, motion carried 15 yes, 0 no.
Next Town of Eau Galle Board meeting May 12, 2003
Motion by Mike Veendall second by Bob Young to adjourn, motion carried